Towards the end of last month, I read Jeffrey Eugenides's novel Middlesex [in about 3 days, i procrastinate so much] and wrote a book review in context on it. First of all, I must say that I thoroughly enjoyed it and would definitely recommend it to any of you.
Second, and this is the reason I brought it up, it started this certain train of thought in me I haven't quite been able to articulate so far, but I'm going to try for you, friends.
So the novel is about an intersexed person raised as a girl who finds out much later that she indeed has both male and female genitalia. This was probablematic for me, being that I had to write a paper on the book and couldn't just use the birth name of the narrator several time in the same sentence. I had to use pronouns, which presented a new problem. Calliope is both a he and a she. Which would I use? I used the problem to my advantage and let it take up the first page of my paper, going on about how it would be rude to say "it" or "he/she" everytime i brought up the narrator.
For the intents of the paper, I used "she" when referring to the time when the narrator lived as a little girl and "he" when referring to the narrator as the man writing the story. This decision was made based on the fact that English singular third person pronouns are technically based on gender, or the social roles associated with being male or female, not necessarily concretely based on sexual organs.
Am I the only one sick of social roles associated with being male or female?
Having a vagina and breasts has distracted me from this problem for quite some time. Why are there no proper English gender nonspecific singular third person pronouns? Why must everyone be either a he or a she? And what defines what is a he or a she? One's gender identity? One's sexual organs? I've always felt that it is the gender identity that defines what pronouns you want to be referred to in. But why should we have to choose "boy" or "girl"? Where is the middle ground? And why is it so important what genitalia one has when we're talking about, for example, art? When someone says "Oh, I love the shading he did on the tree," are you immediately thinking about the artist's penis? So why was it relevant to bring up gender in the first place?
And don't give me that bullshit about "he" being a gender nonspecific term. "He" refers to penis-havers.
Solutions? Some claim that it's okay to use "they" in the singular form. While "they" is indeed gender nonspecific, it would be grammatically incorrect to say, for example, "Calliope went to their mother’s house," or, "I've been in a monogamous relationship with them for years."
Several unofficial sources claim that there are less mainstream gender-neutral pronouns, such as sie and hir, xe, ve, ze and mer, zie, e, and thon [
~~~
(1)
# NaAcWO5

NaAcWO5 after structural relaxation (PBE with a Hubbard U, the Alexandria database).

## Properties
E_tot   -7.0369 eV per atom
M_tot   0.00 μB/cell

Cell lengths 7.128, 11.760, 8.602 Å; angles 90.00, 114.44, 90.00 degrees
Space group C2/c (No. 15)
Unique sites:
Na (0.000, 0.235, 0.250) (multiplicity 4)
Ac (0.000, 0.500, 0.000) (multiplicity 4)
W (0.000, 0.214, 0.750) (multiplicity 4)
O (0.000, 0.422, 0.250) (multiplicity 4)
O (0.146, 0.305, 0.666) (multiplicity 8)
O (0.170, 0.124, 0.920) (multiplicity 8)

=====

(2)
# Pm2MnInO6

Pm2MnInO6 after structural relaxation (PBE with a Hubbard U, the Alexandria database).

## Properties
E_tot   -7.4416 eV per atom
M_tot   8.00 μB/cell

Cell lengths 5.538, 5.990, 9.605 Å; angles 90.00, 124.60, 90.00 degrees
Space group P2_1/c (No. 14)
Unique sites:
Pm (0.227, 0.073, 0.247) (multiplicity 4)
Mn (0.500, 0.000, 0.000) (multiplicity 2)
In (0.000, 0.000, 0.500) (multiplicity 2)
O (0.153, 0.178, 0.947) (multiplicity 4)
O (0.240, 0.688, 0.933) (multiplicity 4)
O (0.383, 0.044, 0.765) (multiplicity 4)

=====

Question: Which formula does entry 1 have?
Answer: NaAcWO5

=====

Question: Among the records above, which one has the highest M_tot?
Answer: Pm2MnInO6

=====

Repeat the second record exactly.
# Pm2MnInO6

Pm2MnInO6 after structural relaxation (PBE with a Hubbard U, the Alexandria database).

## Properties
E_tot   -7.4416 eV per atom
M_tot   8.00 μB/cell

Cell lengths 5.538, 5.990, 9.605 Å; angles 90.00, 124.60, 90.00 degrees
Space group P2_1/c (No. 14)
Unique sites:
Pm (0.227, 0.073, 0.247) (multiplicity 4)
~~~
**Here the article continues:**
wiki article]. However, these words have yet to be defined in any English dictionary as singular gender nonspecific pronouns.
So what do I choose? My loyalty to language [I've always thought if you were going to speak a language, why not try to speak it properly]? or my belief that in order to dismantle this patriarchal system piece by piece, we need to focus not on having the rights of a man, but on having the right to the full human experience, be we a "he", a "she", or anyone else?
I think you already know the answer to that my friends.
But, on the other hand, I could not advocate the immediate disappearance of gender-specificity. Identity, for me, is the sum of one's goals, one's struggles, and one's views. I am a queer black woman who loves travel and the small things in life, and believes that sometimes words are the best thing we can give another person. Of course, I could go one forever about what and who I am, what and who I love, what and who I've done, but that's the thing about identity. It's not one-dimensional, it's not something that can be described in a paragraph or less.
And being completely gender-neutral is the same thing as "being [racially] colorblind." It's a denial of one's struggles at the hands of the Western system we live in. I don't see the color of your skin and therefore your differences do not exist to me. Guess what? I've felt this difference my entire life. It doesn't just go away because you don't wish to acknowledge or address it.
What I am wondering then, is not why gender matters, but why we've allowed it to permeate every sense of our language? People are not that didactic. Why should our language be?
This is also my explanation for in future entries, when you will run into words like xyr and xe and xem. =)